The 10 most recently published documents
Many industrial processes are performed using harmful chemicals. The current technical synthesis of N-acyl-amino acids relies on acyl chlorides, which are typically obtained from phosgene chemistry. A greener alternative is the application of whole cells or enzymes to carry out synthesis in an environmentally friendly manner. Aminoacylases belong to the hydrolase family and the resolution of racemic mixtures of N-acetyl-amino acids is a well-known industrial process. Several new enzymes accepting long-chain fatty acids as substrates were discovered in recent years. This article reviews the synthetic potential of aminoacylases to produce biobased N-acyl-amino acid surfactants. The focus lays on a survey of the different types of aminoacylases available for synthesis and their reaction products. The enzymes are categorized according to their protein family classification and their biochemical characteristics including substrate spectra, reaction optima and process stability, both in hydrolysis and under process conditions suitable for synthesis. Finally, the benefits and future challenges of enzymatic N-acyl-amino acid synthesis with aminoacylases will be discussed.
To respond to the increasing demand for hyaluronic acid (HA) in dietary supplements (DSs) and nutricosmetics marketed for the treatment of osteoarthritis or moistening, it is essential to have an accurate and reliable method for its analysis in the final products. The study aimed to develop and validate alternative method for the quality control of HA in DSs using low-field (LF) and high-field (HF) nuclear magnetic resonance (NMR) spectroscopy at 80 MHz and 600 MHz, respectively. Moreover, chondroitin sulphate (CH), another active ingredient in DSs, can be simultaneously quantified. The 1H-NMR methods have been successfully validated in terms of limit of detection (LOD) and limit of quantitation (LOQ), which were found to be 0.1 mg/mL and 0.2 mg/mL (80 MHz) as well as 0.2 mg/mL and 0.6 mg/mL (600 MHz). Recovery rates were estimated to be between 92 and 120% on both spectrometers; precision including sample preparation was found to be 4.2% and 8.0% for 600 MHz and 80 MHz, respectively. Quantitative results obtained by HF and LF NMR were comparable for 16 DSs with varying matrix. HF NMR experiments at 70 ℃ serve as a simple and efficient quality control tool for HA and CH in multicomponent DSs. Benchtop NMR measurements, upon preceding acid hydrolysis, offer a cost-effective and cryogen-free alternative for analyzing DSs in the absence of CH and paramagnetic matrix components.
Das Schloss Lichtenburg in Prettin, im sachsen-anhaltischen Landkreis Wittenberg gelegen, ist eine der bedeutendsten Schlossanlagen der Renaissance in Mitteldeutschland und zugleich eines der wichtigsten historischen Zeugnisse für die Entwicklungsgeschichte der frühen nationalsozialistischen Lager, die ab 1933 in Bestandsbauten eingerichtet wurden und in heutiger Zeit meist unsichtbar sind. Im Schloss Lichtenburg ist die Gedenkstätte KZ Lichtenburg Prettin als Teil der Stiftung Gedenkstätten Sachsen-Anhalt heute eine zentrale Akteurin. Zugleich steht der größte Teil der Schlossanlage leer und sucht – verwaltet durch die Bundesanstalt für Immobilienaufgaben – eine neue Nutzung. Die Frage von Angemessenheit stellt sich an diesem Ort in besonderem Maße; gleiches gilt für viele andere NS-Tatorte mit komplexer Überlagerungsgeschichte. Sie betrifft sowohl den Umgang mit den baulichen Zeugnissen, die die einzelnen Zeitschichten widerspiegeln, als auch die zukünftigen Nutzungen.
Records of crystals, as found in the file:
<<<
(1)
Entry from the Open Quantum Materials Database: a relaxed Al4CuCSe2 crystal (GGA-PBE).

Calculated values
* energy: -4.51 eV/atom

Cell lengths 5.080, 5.080, 12.107 Å; angles 90.00, 90.00, 90.00 degrees
Space group I-4 (No. 82)
Unique sites:
Al 0.169 0.240 0.395 (multiplicity 8)
Cu 0.000 0.500 0.250 (multiplicity 2)
C 0.000 0.000 0.500 (multiplicity 2)
Se 0.000 0.000 0.000 (multiplicity 2)
Se 0.000 0.500 0.750 (multiplicity 2)



(2)
Entry from the Open Quantum Materials Database: a relaxed GeSbW4N2 crystal (GGA-PBE).

Calculated values
* energy: -9.23 eV/atom

Cell lengths 3.0541, 3.0541, 13.6374 Å; angles 90.00, 90.00, 120.00 degrees
Space group P-6m2 (No. 187)
Unique sites:
Ge 0.0000 0.0000 0.0000 (multiplicity 1)
Sb 0.3333 0.6667 0.5000 (multiplicity 1)
W 0.0000 0.0000 0.3355 (multiplicity 2)
W 0.3333 0.6667 0.1456 (multiplicity 2)
N 0.6667 0.3333 0.2418 (multiplicity 2)
>>>
Der globale Nachrichtenkonsum hat sich seit der Jahrtausendwende in ungeahnter Form und Geschwindigkeit verändert und fortentwickelt. Jahrzehnte lang waren Printzeitung, Radio und Fernsehen die drei vorherrschenden Informationsmedien. Der in seiner stets an den Stand technischer Neuerungen gebundene Pressemarkt blieb seinen etablierten und erfolgreichen Kommunikationswegen treu. Erst mit Aufkommen des World Wide Webs taten sich neue ungeahnte Möglichkeiten für Journalist*innen auf. Plötzlich war es möglich, die eigenen Inhalte über die Grenzen des Einzugsgebietes der Zeitung und über die Reichweite der Radiofrequenz oder des TV-Signals hinaus zu verbreiten. Es ergaben sich erstmalig ganz neue Zielgruppen, Kooperationen und Konkurrenzen. Diese Entwicklungen haben die Nachrichtenwelt in vielerlei Hinsicht in neue Sphären gehievt. Mitte der Nullerjahre wurde die Presselandschaft erneut mit einem technologischen Einschnitt konfrontiert, der ihr Schaffen von Grund auf beeinflussen sollte. Das Smartphone ermöglichte plötzlich, die Zeitung stets in der Hosentasche zu tragen; die aktuellsten Nachrichten sofort in der Hand halten; unmittelbar und unabhängig auf jegliche Information zugreifen. Die zweite große Entwicklung dieses Jahrtausends folgte gleich wenige Jahre später, die ersten sozialen Netzwerke entstanden. Der kometenhafte Aufstieg von Facebook und Co. stellte die Presse, und stellt sie immer noch, vor existentielle Fragen über die Natur des allgemeinen Nachrichtenkonsums. Vor wenigen Jahren hat sich nun eine dritte große Innovation dieses Jahrtausends ins Rampenlicht der Welt gedrängt und fließt stetig mehr und mehr in alle Bereiche der Alltagsrealität ein - die künstliche Intelligenz. Diese hat das Potential dazu, für unseren Nachrichtenkonsum die folgenschwerste aller zu sein - sowohl in den Chancen die durch sie entstehen als auch in den Problematiken, die sie aufwirft. Die kommenden Jahre versprechen, eine zukunftsweisende Zeit für die Presselandschaft zu werden. Wenn es gelingt, sich den modernen Gegebenheiten entsprechend zu entwickeln, und innovative Wege zu finden, Nachrichten zu produzieren und zu verbreiten, kann der Journalismus stärker denn je aus diesen entscheidenden Jahren hervorkommen. Vor diesem Kontext recherchieren, Lösungsansätze definieren und konkrete Umsetzungen erarbeiten, ist Ziel dieser Arbeit. The Presser ist ein Nachrichtenportal, das innovative journalistische Formate präsentiert und disruptive Lösungswege in gestalterischer und konzeptueller Form des Newskonsums darlegt
Magnetic nanoparticles (MNP) are widely investigated for biomedical applications in diagnostics (e.g. imaging), therapeutics (e.g. hyperthermia) and general biosensing. For all these applications, the MNPs’ unique magnetic relaxation mechanism in an alternating magnetic field (AFM) is stimulated to induce desired effects. Whereas magnetic fluid hyperthermia (MFH) and magnetic particle imaging (MPI) are the most prominent examples for biomedical application, we investigate the relatively new biosensing application of frequency mixing magnetic detection (FMMD) from a fundamental perspective. Generally, we ask how specific MNP parameters (core size, magnetic anisotropy) influence the signal, specifically we predict the most effective MNP core size for signal generation. In FMMD, simultaneously two AFM are applied: a low-frequency magnetic driving field, driving MNP close to saturation, and a high-frequency excitation field that probes MNP susceptibility: . Resulting from the nonlinear magnetization of the MNP, harmonics of both individual incident frequencies as well as intermodulation products of these frequencies are generated. In this work, we present numerical Monte-Carlo(MC)-based simulations of the MNP relaxation process, solving the Landau-Lifshitz-Gilbert (LLG) equation to predict FMMD signals: As Figure 1 shows for the first four intermodulation signals , with , we can clearly see that larger core sizes generally increase the signal intensity. Same trend is predicted by a simple Langevin-function based thermal equilibrium model. Both predictions include a lognormal size distribution. The effect of core size distribution presumably dominates the effect of magnetic anisotropy. The findings are supported by comparison with experimental data and help to identify which MNP are best suited for magnetic biosensing applications using FMMD.
Frequency mixing magneticdetection(FMMD) has been widely utilized as a measurement technique in magnetic immunoassays. It can also be used for characterization[1]and distinction[2](also known as “colorization”) ofdifferent types of magnetic nanoparticlesaccording totheircore sizes.It is well known that the large particles contribute most of the FMMD signal. Typically, 90% of the signal stems from the largest 10% of the particles [1]. This leads to ambiguities in core size fitting since thecontribution of thesmall sized particles is almostundetectable among the strong responses from the large ones. In this work, we report on how this ambiguity can be overcome. Magnetic nanoparticle samples from Micromod (Rostock, Germany) were prepared in liquid and filterbound state. Their FMMD response at mixing frequencies f1 ± nf2 to magnetic excitation H(t)=H0+H1sin(2 f1t)+H2sin(2 f2t),with H1=1.3mT/μ0 at f1=40.5kHzandH2=16mT/μ0 at f2=63Hz,was measured as a function ofoffset field strength H0= (0,…,24) mT/μ0.The signal calculated fromLangevin model in thermodynamic equilibrium[1]with a lognormal core size distribution fL(dc,d0, ,A) = Aexp(–ln²(dc/d0)/(2 ²))/(dc (2 )1/2)was fitted to the experimental data. For each choice of median diameter d0, pairs of parameters ( ,A) are found which yield excellent fit results with R²>0.99.All the lognormal core size distributions shown in Figure (a) are compatible with the measurements because their large-size tails are almost equal. However, all distributions have different number of particles and different total iron content. We determined the samples’ total iron mass with inductively coupled plasma optical emission spectrometry(ICP-OES) and, out of all possible lognormal distributions, determined the one with the same amount of iron. With this additional externally measured parameter, we resolved the ambiguity in core size distribution and determined the parameters (d0, ,A).
Hyperthermia with the use of magnetic nanoparticles (MNP) is a challenging but most promising approach for cancer therapy. After being magnetically trapped at the tumor site, MNP are heated in alternating magnetic fields (AMF) to approx. 43 °C, which causes tumor cell apoptosis. For an effective and controllable hyperthermia application, two parameters are most important: the amount of internalized MNP in tumor cells and their heating characteristics in AMF. In this study, we evaluated if a sufficient temperature could be achieved by cell internalized MNP heated up in AMF and if cell death could be induced in this way. The heating of pancreatic tumor cell lines MiaPaCa-2 and BxPC-3 loaded with different amounts of selfsynthesized magnetoliposomes nanoparticles (MLs) was measured with a custom-built setup. The MLs consisted of a fluorescent bi-layer of phospholipids and multiple magnetite (Fe3O4) cores with a diameter of (10.0 ± 0.5) nm each. The hydrodynamic diameter of the MLs was (90 ± 5) nm. Cell loading was performed by incubation of tumor cells for up to 24 h at 37 °C in a DMEM cell medium with MLs, which had an iron concentration of 150 μg/mL. Transmission electron microscopy and fluorescence microscopy were used to depict the uptake of MLs into the tumor cells (see Figure). The internalized iron-content per cell was determined with a magnetic particle spectrometer (MPS). After application of AMF for approx. 30 min, cell viability was assessed by clonogenic assay. The cellular uptake of MLs was time-dependent, cell line-specific and saturated: For both MiaPaCa-2 and BxPC-3 cell lines, the MLs cell internalization followed an exponential growth function which saturated after about 24 h cell incubation time at an iron load of (110 ± 6) pg/cell and (30 ± 2) pg/cell, respectively. The time constants of the exponential growth were (7.2 ± 1.4) h and (4.0 ± 0.6) h, respectively. In AMF, cells with the saturated MLs loading reached temperatures of approx. 44 °C and 43.5 °C, which caused the cell survival fraction to drop to approx. one third compared to untreated tumor cells for both MiaPaCa-2 and BxPC-3 cell lines. These results demonstrate the feasibility of hyperthermia in pancreatic cancer treatment by confirming cell death of pancreatic tumor cells at temperatures of approx. 43 °C. Further investigations are planned, which aim for the optimization of MNP dosage in targeting experiments as well as the assessment of incubation times and AMF parameters needed for a successful hyperthermic therapy.